• Contents:
- - -
Material: Tb3Ce2Y6Er
Method: DFT, PBE-GGA
State: relaxed

The structure in POSCAR format:
```
Tb3Ce2Y6Er
1.0
-2.676 -3.826 4.018
6.075 -0.313 -0.971
0.623 9.070 7.478
Tb Ce Y Er
3 2 6 1
direct
0.166 0.834 0.500 Tb
0.834 0.166 0.500 Tb
0.500 0.500 0.500 Tb
0.334 0.666 0.000 Ce
0.666 0.334 0.000 Ce
0.917 0.582 0.752 Y
0.748 0.748 0.248 Y
0.083 0.418 0.248 Y
0.582 0.917 0.752 Y
0.252 0.252 0.752 Y
0.418 0.083 0.248 Y
0.000 0.000 0.000 Er
```

E_tot	-68.52	eV for the cell shown
crystal system	monoclinic


[1]
Compound: EuTlBi2
Source: Alexandria via LeMat-Bulk
Functional: PBE
Structure: relaxed

Computed properties:
DFT formation energy in meV/atom: 15

a = 12.7981 Å, b = 12.7981 Å, c = 12.7981 Å
α = 16.01°, β = 16.01°, γ = 16.01°
Positions (direct):
1 Eu 0.0000 0.0000 0.0000
2 Tl 0.5000 0.5000 0.5000
3 Bi 0.0868 0.0868 0.0868
4 Bi 0.9132 0.9132 0.9132

=====

[2]
Compound: KAcHfO4
Source: Alexandria via LeMat-Bulk
Functional: PBE
Structure: relaxed

Computed properties:
E_form (uncorrected) in eV/atom: -3.06

a = 7.2048 Å, b = 7.2048 Å, c = 7.2048 Å
α = 146.92°, β = 146.92°, γ = 47.48°
Positions (direct):
1 K 0.0000 0.0000 0.0000
2 Ac 0.2979 0.2979 0.0000
3 Hf 0.6387 0.6387 0.0000
4 O 0.1614 0.6614 0.5000
5 O 0.4847 0.4847 0.0000
6 O 0.6614 0.1614 0.5000
7 O 0.8071 0.8071 0.0000

=====

[3]
Compound: TiMnReSi
Source: Alexandria via LeMat-Bulk
Functional: PBE
Structure: relaxed

Computed properties:
E_form (uncorrected) in eV/atom: -0.38

a = 4.2346 Å, b = 4.2346 Å, c = 4.2346 Å
α = 60.00°, β = 60.00°, γ = 60.00°
Positions (direct):
1 Ti 0.0000 0.0000 0.0000
2 Mn 0.7500 0.7500 0.7500
3 Re 0.2500 0.2500 0.2500
4 Si 0.5000 0.5000 0.5000

=====

[4]
Compound: Ce2NdTh
Source: Alexandria via LeMat-Bulk
Functional: PBE
Structure: relaxed

Computed properties:
DFT formation energy in meV/atom: 101

a = 11.8310 Å, b = 11.8310 Å, c = 11.8310 Å
α = 17.02°, β = 17.02°, γ = 17.02°
Positions (direct):
1 Ce 0.0000 0.0000 0.0000
2 Ce 0.1633 0.1633 0.1633
3 Nd 0.5828 0.5828 0.5828
4 Th 0.4149 0.4149 0.4149

=====

[5]
Compound: CaAlTe2O6
Source: Alexandria via LeMat-Bulk
Functional: PBE
Structure: relaxed

Computed properties:
E_form (uncorrected) in eV/atom: -1.77

a = 7.8813 Å, b = 7.8813 Å, c = 6.1026 Å
α = 108.61°, β = 108.61°, γ = 64.70°
Positions (direct):
1 Ca 0.1408 0.8592 0.7500
2 Ca 0.8592 0.1408 0.2500
3 Al 0.2292 0.7708 0.2500
4 Al 0.7708 0.2292 0.7500
5 Te 0.1283 0.3995 0.8116
6 Te 0.3995 0.1283 0.3116
7 Te 0.6005 0.8717 0.6884
8 Te 0.8717 0.6005 0.1884
9 O 0.0124 0.8113 0.3294
10 O 0.1887 0.9876 0.1706
11 O 0.2055 0.3462 0.4530
12 O 0.2440 0.6100 0.9701
13 O 0.3462 0.2055 0.9530
14 O 0.3900 0.7560 0.5299
15 O 0.6100 0.2440 0.4701
16 O 0.6538 0.7945 0.0470
17 O 0.7560 0.3900 0.0299
18 O 0.7945 0.6538 0.5470
19 O 0.8113 0.0124 0.8294
20 O 0.9876 0.1887 0.6706

=====

[6]
Compound: BaPm4Au3O12
Source: Alexandria via LeMat-Bulk
Functional: PBE
Structure: relaxed

Computed properties:
E_form (uncorrected) in eV/atom: -1.99

a = 7.4010 Å, b = 7.4010 Å, c = 7.4010 Å
α = 109.47°, β = 109.47°, γ = 109.47°
Positions (direct):
1 Ba 0.0000 0.0000 0.0000
2 Pm 0.0000 0.0000 0.5000
3 Pm 0.0000 0.5000 0.0000
4 Pm 0.5000 0.0000 0.0000
5 Pm 0.5000 0.5000 0.5000
6 Au 0.0000 0.5000 0.5000
7 Au 0.5000 0.0000 0.5000
8 Au 0.5000 0.5000 0.0000
9 O 0.1554 0.3183 0.4737
10 O 0.1554 0.6817 0.8371
11 O 0.1629 0.8446 0.3183
12 O 0.3183 0.1629 0.8446
13 O 0.3183 0.4737 0.1554
14 O 0.4737 0.1554 0.3183
15 O 0.5263 0.8446 0.6817
16 O 0.6817 0.5263 0.8446
17 O 0.6817 0.8371 0.1554
18 O 0.8371 0.1554 0.6817
19 O 0.8446 0.3183 0.1629
20 O 0.8446 0.6817 0.5263

=====

[7]
Compound: Ta2InSi
Source: Alexandria via LeMat-Bulk
Functional: PBE
Structure: relaxed

Computed properties:
E_form (uncorrected) in eV/atom: 0.26

a = 2.8615 Å, b = 2.8615 Å, c = 9.2076 Å
α = 90.00°, β = 90.00°, γ = 90.00°
Positions (direct):
1 Ta 0.0000 0.0000 0.0000
2 Ta 0.5000 0.5000 0.2546
3 In 0.0000 0.0000 0.5063
4 Si 0.5000 0.5000 0.7925

=====

[8]
Compound: Ta2InW
- - -

• Activity:
Your job: filter the contents further above: keep the lines with the word "Eu".

• Solution:
1 Eu 0.0000 0.0000 0.0000